Granite Island (South Australia)

**Materials data that have nothing to do with the page**
........
(1)
VASP calculation (PBE) on crystalline Ca3Tm2PaSb6 at its relaxed geometry.

POSCAR file:
```
Ca3Tm2PaSb6
1.0
3.828 -6.631 0.000
3.828 6.631 0.000
-2.551 0.000 7.330
Ca Tm Pa Sb
3 2 1 6
direct
0.000 0.000 0.000
0.332 0.668 0.000
0.668 0.332 0.000
0.167 0.833 0.500
0.833 0.167 0.500
0.500 0.500 0.500
0.091 0.422 0.265
0.247 0.247 0.735
0.422 0.091 0.265
0.578 0.909 0.735
0.753 0.753 0.265
0.909 0.578 0.735
```

## Properties
* DOS at the Fermi energy: 7.24 states/eV/cell
* formation energy from raw total energies: -86.7 kJ/mol of atoms
* uncorrected energy: -5.00 eV per atom
* calculated density: 6.34 g/cm³



(2)
VASP calculation (PBE) on crystalline Ca3Y2PaSb6 at its relaxed geometry.

POSCAR file:
```
Ca3Y2PaSb6
1.0
3.853 -6.676 0.000
3.853 6.676 0.000
-2.569 0.000 7.326
Ca Y Pa Sb
3 2 1 6
direct
0.000 0.000 0.000
0.331 0.669 0.000
0.669 0.331 0.000
0.166 0.834 0.500
0.834 0.166 0.500
0.500 0.500 0.500
0.093 0.421 0.263
0.252 0.252 0.737
0.421 0.093 0.263
0.579 0.907 0.737
0.748 0.748 0.263
0.907 0.579 0.737
```

## Properties
* DOS at the Fermi energy: 7.41 states/eV/cell
* formation energy from raw total energies: -89.6 kJ/mol of atoms
* uncorrected energy: -5.36 eV per atom
* calculated density: 5.55 g/cm³



(3)
VASP calculation (PBE) on crystalline Ca3ZrPa2Sb6 at its relaxed geometry.

POSCAR file:
```
Ca3ZrPa2Sb6
1.0
3.777 -6.545 0.000
3.777 6.545 0.000
-2.525 0.000 7.341
Ca Zr Pa Sb
3 1 2 6
direct
0.000 0.000 0.000
0.330 0.670 0.000
0.670 0.330 0.000
0.500 0.500 0.500
0.166 0.834 0.500
0.834 0.166 0.500
0.096 0.423 0.267
0.253 0.253 0.736
0.423 0.096 0.267
0.577 0.904 0.733
0.747 0.747 0.264
0.904 0.577 0.733
```

## Properties
* DOS at the Fermi energy: 10.35 states/eV/cell
* formation energy from raw total energies: -72.5 kJ/mol of atoms
* uncorrected energy: -5.61 eV per atom
* calculated density: 6.42 g/cm³

* * * * *

# Tb5Tl2C

Tb5Tl2C after structural relaxation (PBE, Alexandria).

Calculated values
Volume: 510 Å³/cell

Cell lengths 4.9817, 8.6185, 12.4005 Å; angles 90.00, 90.00, 106.80 degrees
With the nearest neighbours (Å) after each atom.
Sites, in units of the cell vectors:
1 Tb 0.9095 0.8190 0.8897  1 C 2.37
2 Tb 0.9095 0.8190 0.6103  1 C 2.37
3 Tb 0.2932 0.5865 0.4113  1 C 2.64
4 Tb 0.2932 0.5865 0.0887  1 C 2.64
5 Tb 0.7068 0.4135 0.2500  2 C 2.51
6 Tb 0.2932 0.5865 0.7500  2 C 2.51
7 Tb 0.7068 0.4135 0.5887  1 C 2.64
8 Tb 0.7068 0.4135 0.9113  1 C 2.64
9 Tb 0.0905 0.1810 0.1103  1 C 2.37
10 Tb 0.0905 0.1810 0.3897  1 C 2.37
11 Tl 0.9005 0.8011 0.3656  1 Tl 2.87, 4 Tb 3.04-3.15
12 Tl 0.9005 0.8011 0.1344  1 Tl 2.87, 4 Tb 3.04-3.15
13 Tl 0.0995 0.1989 0.6344  1 Tl 2.87, 4 Tb 3.04-3.15
14 Tl 0.0995 0.1989 0.8656  1 Tl 2.87, 4 Tb 3.04-3.15
15 C 0.8116 0.6231 0.7500  6 Tb 2.37-2.64
16 C 0.1884 0.3769 0.2500  6 Tb 2.37-2.64

---

# Tb4TlC2

Tb4TlC2 after structural relaxation (PBE, Alexandria).

Calculated values
Volume: 165 Å³/cell

Cell lengths 3.6210, 3.6210, 14.6706 Å; angles 82.91, 82.91, 60.00 degrees
........

Granite Island, also known by the Ramindjeri people as Nulcoowarra, is a small island next to Victor Harbor, South Australia, about 80 km south of South Australia's capital city, Adelaide.
A shore-based bay whaling station operated at Granite Island in the 1830s.
Although there are no permanent residents, there are buildings and shelters on the island, including a cafe. It is a popular tourist attraction, particularly for people wishing to see little penguins which live there. The island also supported resident wallabies in the 1980s which captivated visiting tourists. The island is accessible across a causeway from the mainland, either on foot or by catching an antique horse-drawn tram. The private company Oceanic Victor uses the island as a departure point to ferry tourists to an at-sea, floating aquarium in adjacent waters.

Little penguin colony

In 1987 a joint State and local government committee was formed "to consider improvements to Granite Island." The Committee recommended that the island's tourism potential be maximised, while protecting its environment. The Committee also specifically recommended the "protection of the fairy penguin population."
In 1989, the island's rat and rabbit populations were subjected to culling, with poison used to reduce rat numbers. Rats are known to raid the nests of little penguins. The island's wallaby population was also reduced, with animals relocated as far afield as Cummins on Eyre Peninsula.
In 1990, the wider Encounter Bay little penguin population was estimated to be between 5000 and 7000 penguins. At this time, the colony's breeding season was considered to span July through January, followed by molting season January through March.
In July 1991, the National Parks & Wildlife Service estimated the Encounter Bay area population of little penguins to total 7,000 birds.
A general population count conducted in early December 1991 found 571 penguins on Granite Island. Penguins were also counted on West Island and Wright Island, and the total number of penguins in the Encounter Bay area was in excess of 2600.
In 1992, the island's population was believed to be stable and was estimated to total between 1000 and 1500 little penguins. Nocturnal tours of the penguin colony commenced that year as a joint initiative of the National Parks and Wildlife Service and the Victor Harbor Council.
On 6 November 1992, a man counted nine dead penguins above the high tide mark while walking between Victor Harbor and Port Elliot, but was unable to lodge an official report of the discovery.

Fox predation and development concerns

Anne Boulter, a local resident who made regular private counts along a limited section of the island, believed the colony to also be stable in 1994. That year, a fox killed 75 penguins on Granite Island in three days and was eventually killed. Her records of the population which commenced in 1989, showed that the penguins were moulting later each year and most of the penguins were only breeding once a year.
In 1995, another fox crossed the Causeway from the mainland and killed 17 penguins on Granite Island. At that time the population was estimated at 1500 animals, and was being surveyed by the Greater Granite Island Development Company, which was also establishing new burrows to support the population. The company commenced the development of a Penguin Interpretive Centre on the island in 1995 and was expected to be completed in 1996.
Concerns were raised by Victor Harbor residents that construction of new infrastructure on Granite Island could disturb or harm the penguin colony, including the transportation of heavy construction equipment to the island after dark. Students of the Victor Harbor High School were among those who expressed concern about the extent and the impact of the proposed tourism development on the penguin colony.
In January 1995 a single Fjordland penguin came ashore on Granite Island. It was relocated by Parks and Wildlife staff to West Island so that the animal could moult away from human disturbance.

Records of crystals, as found in the file =
........
# 1
The following is a DFT calculation (PBE) of a relaxed In2NiRu crystal.

Results
ΔH_f (0 K), kJ/mol of formula units: 69

Cell: 3.081 3.081 7.542 Å, 90.00 90.00 90.00°
Space group P4mm (No. 99)
Unique sites:
In (0.000, 0.000, 0.000) x1
In (0.500, 0.500, 0.365) x1
Ni (0.000, 0.000, 0.587) x1
Ru (0.500, 0.500, 0.759) x1



# 2
The following is a DFT calculation (PBE) of a relaxed ThRe2BC crystal.

Results
ΔH_f (0 K), kJ/mol of formula units: -147

Cell: 3.807 10.791 7.228 Å, 90.00 90.00 90.00°
Space group Cmcm (No. 63)
Unique sites:
Th (0.000, 0.039, 0.250) x4
Re (0.000, 0.319, 0.062) x8
B (0.000, 0.236, 0.750) x4
C (0.000, 0.500, 0.000) x4



# 3
The following is a DFT calculation (PBE) of a relaxed PrDy2Y5Tm crystal.

Results
ΔH_f (0 K), kJ/mol of formula units: 241

Cell: 8.980 8.980 14.725 Å, 90.00 90.00 90.00°
Space group I4/mcm (No. 140)
Unique sites:
Pr (0.000, 0.000, 0.250) x4
Dy (0.112, 0.388, 0.000) x8
Y (0.000, 0.000, 0.000) x4
Y (0.205, 0.295, 0.368) x16
Tm (0.000, 0.500, 0.250) x4



# 4
The following is a DFT calculation (PBE) of a relaxed ThTlH crystal.

Cell: 9.354 4.195 6.467 Å, 90.00 90.00 90.00°
Space group Pnma (No. 62)
Unique sites:
Th (0.204, 0.250, 0.107) x4
Tl (0.017, 0.250, 0.668) x4
H (0.207, 0.750, 0.940) x4



# 5
The following is a DFT calculation (PBE) of a relaxed Li9Ca2Ac crystal.

Results
ΔH_f (0 K), kJ/mol of formula units: 27

Cell: 6.1966 6.1966 18.9084 Å, 90.00 90.00 120.00°
Space group P6_3/mmc (No. 194)
Unique sites:
Li (0.0000, 0.0000, 0.0000) x2
Li (0.0000, 0.0000, 0.2500) x2
Li (0.1677, 0.3354, 0.1272) x12
Li (0.3333, 0.6667, 0.2500) x2
Ca (0.3333, 0.6667, 0.5373) x4
Ac (0.3333, 0.6667, 0.7500) x2



no.,raw total energy (eV/cell)
1,-19.82
2,-198.95
3,-193.11
4,-56.25
5,-50.12

=====

# 1
Entry from Alexandria via LeMat-Bulk: a geometry-optimized PrSeI structure (GGA-PBE).

The structure in CIF format:
```
data_PrSeI
_cell_length_a 3.866
_cell_length_b 3.866
_cell_length_c 7.237
_cell_angle_alpha 105.49
_cell_angle_beta 105.49
_cell_angle_gamma 90.00
_space_group_name_H-M_alt 'P 1'
_space_group_IT_number 1
_space_group_name_Hall 'P 1'
loop_
_atom_site_label
_atom_site_fract_x
_atom_site_fract_y
_atom_site_fract_z
Se1 0.287 0.287 0.575
Pr1 0.689 0.689 0.377
I1 0.024 0.024 0.048
```

Total magnetic moment ... 0.0 μB per formula unit
SG ... I4mm
Total energy ... -4.706 eV/atom
DOS at the Fermi energy ... 0.496 states/eV/atom

***

# 2
Entry from Alexandria via LeMat-Bulk: a geometry-optimized PrSeI structure (GGA-PBE).

The structure in CIF format:
```
data_PrSeI
_cell_length_a 4.465
_cell_length_b 4.465
_cell_length_c 7.190
_cell_angle_alpha 90.00
_cell_angle_beta 90.00
_cell_angle_gamma 120.00
_space_group_name_H-M_alt 'P 1'
_space_group_IT_number 1
_space_group_name_Hall 'P 1'
loop_
_atom_site_label
_atom_site_fract_x
_atom_site_fract_y
_atom_site_fract_z
Se1 0.333 0.667 0.551
Pr1 0.667 0.333 0.369
I1 0.000 0.000 0.079
```

Total magnetic moment ... 0.0 μB per formula unit
SG ... P3m1
........
Back to the piece =

Population decline

Granite Island's little penguin colony has declined dramatically since the 1990s. In 1998, the colony was considered to be "very healthy" and was estimated to contain 1800 birds. In 2001, the population count was 1,548 penguins. A count conducted in October 2013 totaled 38 penguins. In 2013 the decline prompted the mayor of Victor Harbor, Graham Philp, to commence a fundraising drive to gather funds for research into the genetics of the population and the causes of the decline. In 2015, the number had dropped to 22 birds.
Some possible drivers of the decline include New Zealand fur seal predation and overfishing. Flinders University intends to establish a centre at which animals can be captively studied, bred and potentially released back to the wild.
Similarly dramatic declines have been noted nearby at West Island and at colonies across Backstairs Passage on Kangaroo Island, including closely monitored populations at Penneshaw and Kingscote. Other colonies within Encounter Bay have gone extinct, including those at Wright Island and Freeman's Knob.

Penguin Centre

Dianne and Stephen Edwards took on the Granite Island lease in 1999, with the view to establishing a floating at-sea aquarium as a tourist attraction and expanding the Penguin Interpretive Centre. The aquarium structure later returned to Boston Bay, Port Lincoln, where it became home to Swim with the Tuna.
In January 2016, the Granite Island Penguin Centre closed. The centre had cared for numerous injured penguins and nursed them back to health over the course of its sixteen years of operation. The centre was also accessible to tourists who were able to view the captive "retired" birds in an artificial enclosure. The centre closed due to the retirement of Dorothy Longden who had managed the centre. Nightly tours were expected to continue to run from the information centre on the mainland.

[Calculated crystals, kept here for reference]
P:
Entry from the Alexandria database: crystalline Mg4CdCo at its relaxed geometry (PBE-GGA).

Geometry as extended XYZ:
```
12
Lattice="-0.1508 4.4040 -2.6092 -1.8858 -3.5110 -5.8209 -5.4514 0.3412 5.8362" Properties=species:S:1:pos:R:3 pbc="T T T"
Mg -4.3396 2.7284 -0.2403
Mg -2.1401 1.5285 -2.3344
Mg -5.8318 -0.3698 4.6552
Mg -4.3915 1.4892 2.6952
Mg -3.1484 -1.4942 -2.3537
Mg -5.3479 -0.2944 -0.2596
Mg -1.6562 1.6040 -7.2492
Mg -3.0965 -0.2550 -5.2892
Cd -2.4966 0.3023 0.6265
Cd -4.9914 0.9319 -3.2204
Co -1.0525 1.4224 -4.7929
Co -6.4355 -0.1882 2.1989
```

Properties
V in Å³/f.u.: 121.31

Q:
Entry from the Alexandria database: crystalline Mg4CdCo at its relaxed geometry (PBE-GGA).

Geometry as extended XYZ:
```
6
Lattice="0.0000 3.9355 3.9355 3.9355 0.0000 3.9355 3.9355 3.9355 0.0000" Properties=species:S:1:pos:R:3 pbc="T T T"
Mg 2.9473 4.9237 4.9237
Mg 4.9237 4.9237 2.9473
Mg 4.9237 2.9473 4.9237
Mg 2.9473 2.9473 2.9473
Cd 5.9032 5.9032 5.9032
Co 0.0000 0.0000 0.0000
```

Properties
V in Å³/f.u.: 121.91

Stability, descending: P, Q

P:
Entry from the Alexandria database: crystalline Mg2CdCo2 at its relaxed geometry (PBE-GGA).

Geometry as extended XYZ:
```
10
Lattice="-2.7000 -2.4159 5.3927 4.8536 -4.2884 0.5089 2.0277 2.5510 2.1580" Properties=species:S:1:pos:R:3 pbc="T T T"
Mg 3.8049 -2.0026 2.3317
Mg 3.2399 -3.9041 5.1103
Mg 0.3764 -2.1506 5.7280
Mg 0.9414 -0.2491 2.9493
Co 3.2451 -4.6914 2.4967
Co 0.6337 -4.7849 5.0608
Co -1.0914 -2.0128 3.4049
Co 1.5199 -1.9194 0.8408
Cd 0.0000 0.0000 0.0000
Cd 1.0768 -3.3521 2.9508
```

Properties
V in Å³/f.u.: 82.48

Q:
Entry from the Alexandria database: crystalline Mg2CdCo2 at its relaxed geometry (PBE-GGA).

Geometry as extended XYZ:
```
10
Lattice="7.5365 0.0000 0.0000 0.0000 7.5365 0.0000 0.0000 0.0000 2.8180" Properties=species:S:1:pos:R:3 pbc="T T T"
Mg 2.7670 6.5352 0.0000
Mg 6.5352 4.7695 0.0000
Mg 4.7695 1.0013 0.0000
Mg 1.0013 2.7670 0.0000
Co 1.2324 5.0006 1.4090
Co 5.0006 6.3041 1.4090
Co 6.3041 2.5359 1.4090
Co 2.5359 1.2324 1.4090
Cd 0.0000 0.0000 0.0000
Cd 3.7682 3.7682 0.0000
```

Properties
V in Å³/f.u.: 80.03

Stability, descending: P, Q

* * * * *

Compound: MnCdAg2
Source: Alexandria
Functional: PBE
Structure: optimized geometry

abc: 2.8666 4.7511 5.3347
angles: 90.00 96.57 90.00
Closest atoms and distances in Å follow each position.
Space group P2/m (No. 10)
Asymmetric unit:
Mn  0.0000  0.0000  0.0000  4 Ag 2.81, 2 Mn 2.87, 2 Cd 2.88
Cd  0.5000  0.0000  0.5000  2 Cd 2.87, 4 Mn 2.88-3.17, 4 Ag 2.90
Ag  0.2315  0.5000  0.7597  2 Mn 2.81, 5 Ag 2.84-3.02, 2 Cd 2.90

Output
* DOS(E_F): 1.85 states/eV per cell
* energy of formation: 0.78 eV per formula unit
* uncorrected energy: -3.752 eV/atom
* crystal system: monoclinic

* * * * *

# La3AlCu3

A relaxed La3AlCu3 crystal (PBE, Alexandria via LeMat-Bulk).

Cell lengths 5.7970, 5.7970, 13.9746 Å; angles 90.00, 90.00, 136.06 degrees
Closest atoms and distances in Å follow each position.
Fractional positions:
[End of the calculated crystals]

Oceanic Victor

In early 2015, a proposal to locate a marine tourism venture offshore from Granite Island was made by Oceanic Victor to the Government of South Australia. It received the final necessary approval from the Development Assessment Commission in December 2015. The venture was expected to open for business in February 2016 but was delayed due an appeal of the Development Assessment Commission's approval decision. The appeal was ultimately dismissed and the attraction was towed into place in July 2017.
The attraction involves a floating seacage aquaculture pen, containing up to five tonnes of southern bluefin tuna, which paying customers are able to swim with and hand feed. Lesser quantities of other local marine species can also be seen via a floating underwater observatory within the pen and two touch-tank aquaria. The attraction also contains some small sharks and rays. The operation previously ran under the name Swim with the Tuna, and was located in Boston Bay near Port Lincoln from 2010 to 2015.
Tourists are transported to the pen from the existing Granite Island kiosk, which is operated by Oceanic Victor.